(HPC.OffTheWire) The race for quantum competency holds massive implications for the United States’ economic and national security, and the Department of Energy’s Oak Ridge National Laboratory is poised to lead the way.
ORNL’s research in quantum information science, or QIS, goes back more than two decades and has netted 20-plus patents that are issued or pending.
This success in quantum innovation has enabled the formation of three distinct but connected research groups dedicated to advancing quantum computing, networking, and sensing. These groups, together numbering more than 30 researchers and growing, are now consolidated under a single quantum umbrella known as the Quantum Information Science section, which is led by Nick Peters.
“ORNL is developing the science needed to form the foundation of the US’s future quantum industries,” said Peters. “We look forward to a day where quantum networks secure critical infrastructure, quantum computers personalize medicine, and quantum sensors reveal what we currently cannot see in the universe.”
Another 20 ORNL researchers are dedicated to the study of quantum materials, providing a critical, collaborative backbone for the QIS section’s three research areas.
This growing knowledge base draws on some of the world’s most advanced scientific instruments, including the soon to be launched Frontier supercomputer, which will be the nation’s first exascale system, and the Spallation Neutron Source, the world’s most powerful pulsed accelerator-based neutron scattering facility.
What comes next are molecular data, not part of the entry.
____________
This record from OMol25 describes C12H12BN8RuSe4 as an isolated structure in a non-equilibrium geometry. The level of theory is the ωB97M-V functional and the def2-TZVPD basis.

Cartesian coordinates (Å):
N: -1.774 -0.094 1.308
H: -0.038 0.265 3.244
N: 1.915 0.173 0.691
H: 2.604 0.426 3.879
H: -1.076 -3.925 -2.143
C: -0.685 -3.006 -1.745
H: 1.091 2.990 -2.682
C: -2.725 0.686 1.760
C: 0.820 0.263 2.593
Se: 2.006 0.202 -3.883
H: -2.866 1.706 1.449
C: -0.899 3.220 -1.691
Ru: 2.042 0.150 -1.338
C: -2.817 -1.295 2.802
N: -0.452 -1.137 -0.576
C: 2.810 0.275 1.675
Se: 4.711 -2.213 -3.000
Se: 4.048 -1.341 -1.107
H: -2.206 -2.284 -0.290
H: -1.326 4.122 -2.090
H: 3.867 0.306 1.462
C: 2.160 0.341 2.903
N: 0.500 1.524 -1.306
C: 0.525 -2.394 -2.053
N: -1.808 -1.343 1.972
N: 0.649 -1.267 -1.351
N: 0.689 0.165 1.256
C: -1.461 2.361 -0.776
C: 0.333 2.649 -1.996
N: -0.602 1.347 -0.536
Se: 3.768 1.394 -4.397
C: -1.269 -2.182 -0.808
H: -4.319 0.308 3.302
H: -3.052 -2.145 3.423
H: 1.303 -2.705 -2.730
H: -2.431 2.417 -0.321
B: -0.566 0.089 0.360
C: -3.467 -0.043 2.741

Calculated values
largest force on an atom: 0.0197 hartree/bohr
spin multiplicity: 6
net charge: +2
frontier orbital gap (spin up / spin down): 0.2964 / 0.1438 hartree
highest occupied orbital energy (spin up / spin down): -14.078 / -14.331 eV
energy above the lowest of the compared OMol25 structures with the same formula, charge and spin: 0.00 kcal/mol

Atom charges from the Löwdin analysis, given in e for atoms 1 to 8: N 0.08; H 0.12; N -0.12; H 0.12; H 0.12; C -0.01; H 0.10; C 0.06


This record from OMol25 describes C30H29IrN3O3P as an isolated structure. The level of theory is the ωB97M-V functional and the def2-TZVPD basis.

Cartesian coordinates (Å):
O: -2.756 -2.716 -1.848
C: -5.069 0.789 0.730
C: 0.146 3.203 1.116
H: -0.993 1.875 3.176
C: -0.477 -2.548 -2.440
Ir: 0.288 0.088 -1.208
N: -0.989 -1.417 -1.626
H: -6.527 -0.496 -0.173
H: 3.350 -2.247 0.684
C: 0.412 4.543 0.887
C: -0.686 0.837 3.210
H: -0.136 6.302 -0.207
O: 1.665 1.547 -1.295
C: 3.821 -0.157 0.871
H: -1.015 -0.247 -4.098
C: 1.458 -1.380 -3.574
H: 6.680 -1.221 3.171
H: -2.503 2.837 -1.001
H: 2.135 -1.947 -2.934
H: -2.061 -3.552 -3.597
C: -1.398 4.642 -0.703
C: 3.998 -1.507 1.130
P: -1.043 0.804 0.458
H: 1.952 -1.211 -4.530
O: 1.747 -0.665 -0.189
H: 1.216 5.030 1.422
C: 4.633 0.825 1.419
C: -0.354 5.258 -0.024
C: -3.176 -0.733 -0.636
C: -4.535 -1.028 -0.742
H: 5.195 -2.928 2.185
N: 2.760 0.239 -0.017
H: -4.855 -1.858 -1.354
C: -0.554 0.097 2.034
C: -0.909 2.584 0.443
C: -0.056 -1.095 4.489
C: -2.251 -1.607 -1.366
H: -0.510 0.820 5.343
C: -0.841 -1.212 -4.584
C: -3.718 1.090 0.844
H: -1.619 -4.414 -2.104
H: 0.756 2.648 1.818
C: -0.422 0.242 4.434
H: -1.996 5.206 -1.405
C: 0.042 -1.845 3.324
C: -0.209 -1.256 2.097
H: -1.811 -1.685 -4.745
H: 6.317 1.174 2.683
H: 4.461 1.869 1.200
H: 0.142 -1.559 5.446
H: -0.417 -1.002 -5.565
H: -5.797 1.383 1.266
H: -3.408 1.916 1.472
C: 5.034 -1.881 1.970
C: -5.477 -0.263 -0.071
H: 1.337 -0.360 -3.156
____________
These investments in expertise, coupled with a world-class research infrastructure, proved critical to the laboratory’s launch last year of the five-year, $115 million Quantum Science Center, one of five DOE-funded National Quantum Information Science Research Centers.
ORNL’s unique quantum capabilities and strategic partnerships, including with Purdue University, Microsoft, Los Alamos National Laboratory and Fermilab, are enabling the QSC to overcome key roadblocks in quantum state resilience, controllability, and ultimately the scalability of quantum technologies via the sharing of resources across the national labs, industry, and academia.
To further enhance its strategic partnerships and house its QIS investments, ORNL is tripling its quantum-dedicated laboratory space with the addition of the Translational Research Capability building. Scheduled for completion in late 2022, the TRC is a facility purpose-built for world-leading research in computing and materials science that will serve to advance the science and engineering of quantum information.
The flexible space will support the laboratory’s growing fundamental materials research by providing atomic fabrication and materials characterization capabilities to accelerate the development of novel quantum computing devices. Researchers will also use the facility to pursue advances in quantum modeling and simulation, leveraging a co-design approach to develop quantum algorithms along with prototype quantum systems.
“The laboratory’s strategic investments in quantum over the past decade have really paid off in terms of discovery,” said Jeff Nichols, ORNL’s associate lab director for computing and computational sciences. “These discoveries are the beginning of what we expect to be a transformational era in scientific inquiry. Just as ORNL helped to usher in the atomic age, so too will we be instrumental in the realization of the quantum revolution.”
The lab’s quantum research is supported by DOE’s Office of Science. For more information on ORNL’s quantum research portfolio, visit quantum-roadmap.ornl.gov.
ORNL’s quantum efforts are further buttressed by unique research agreements such as the laboratory’s Quantum Computing User Program, which allows ORNL staff and partner institutions access to a variety of quantum computers including systems from IBM, Honeywell Quantum Solutions, and Rigetti to test the viability and resilience for applications critical to DOE. Such an undertaking suits the laboratory’s strengths, as the user program falls under the auspices of the Oak Ridge Leadership Computing Facility, home to Frontier.
It’s precisely this unique quantum portfolio that helped the laboratory recently secure more than $17 million from DOE to advance three critical quantum projects. These efforts include the development of quantum sensors capable of detecting dark matter and advancement of technologies critical for developing a fully quantum internet. Once achieved, a fully quantum internet will be more secure and exponentially more powerful than the classical internet we know today.
ORNL reviews quantum research milestones, will triple its quantum-dedicated lab space